Wednesday, September 07, 2005

A Hero

I want to take a second to step away from Success University
to speak about something a little bit more important.

Hurricane Katrina has devastated many here in the United

So many lives lost, so many lives destroyed, so much
confusion, and so much pain.

It's only in these situations that true heroes emerge.

It's just amazing to see how selfless people can be when
times call for it.

Katrina hits very close to home for me today in a very
special way.

Last night while having a conversation with my father,
out of the blue, he told me that he was going to adopt a
child that his been left orphaned by the hurricane.

I was instantly taken aback.

This, almost 60 year old man, is willing to open his home
and his heart to a new child seemingly on the turn of a dime
simply because the situation needs people like him to step

I'm without words.

I'm proud of him. I've always thought of him as great
father, but now he's more. He's my hero.

There truly is good in the world - and it starts in each of
our hearts.

Do something nice fore someone out there today.


P.S. I've updated the blog for the team with this message
and one other post that should help many of you.

The Quickest, Cheapest, Easiest Way to Enroll 5 or More Reps Quickly

Ezine Solo Ads:

Step 1:

Buy a one year membership to DOE

Step 2:

Research Business Opportunity, Internet Marketing, Affiliate
Marketing, Business Training, and Business General
Categories for Ezines that will allow you to to place solo

Step 3:

Email the ezine publishers the following email:



I found your listing via DOE.

I really think my ad would do well with your subscribers,
but . . .

You know your subscriber base much better than I ever can,
so I need your opinion on whether or not my ad will do well
with your audience.

Just a little background,

I'm promoting a business called Success University. It's an
internet based success development webucation membership
business with a network marketing compensation structure.

I started promoting this business about 6 weeks ago and I've
grown a team of 149 people under me so far. So this business is
really moving fast. Now that I have a team under me we've
developed a ad co-op to keep this strong momentum going in the
following months.

I don't like to place ezine ads without communicating withthe
ezine publisher. So, I need your opinion on whether or not you
think my attatched solo ad will do well with your subscriber base
before I place the ad. Further, has anyone else form Success
University placed and ad with you recently?

I look forward to getting your feedback and placing the ad,

Daegan Smith

P.S. Please confirm that this is your correct information:

Ad Submit:
Solo ad Cost:

Subject: Create passive income online - hype or not?


I'm sure you get hit up all the time about the latest and
greatest new opportunities of all time, right? There are so
many scams online today that it's a good thing to be

But I have a little story I want to tell you about.

Unrelated to this page: data records:
********
Formula: C44H67B3N8O3S2
Source: the OMol25 dataset
Level of theory: wB97M-V/def2-TZVPD

```
! RIJCOSX wB97M-V def2-TZVPD def2/J DEFGRID3
* xyz 0 1
S 1.53555 -2.08569 0.89121
C 1.10271 -2.60144 -0.59705
S -0.57666 -3.26461 -0.83649
C -1.69185 -2.07559 -0.05488
C -2.17501 -0.95692 -1.02904
C -1.31886 0.30881 -0.72396
B -1.43533 1.43984 -1.79855
O -2.54577 2.28712 -1.92652
B -2.05957 3.55130 -1.58619
O -0.77177 3.97801 -1.93487
B 0.11458 2.94652 -2.24821
O -0.38142 1.72701 -2.69697
N 1.94123 -2.63196 -1.72492
C 1.20003 -2.79623 -2.98191
C 1.16789 -4.06366 -3.51733
C 0.50813 -4.26120 -4.71884
C -0.10254 -3.17491 -5.30198
C -0.07488 -1.90759 -4.76646
C 0.58457 -1.71139 -3.56196
C 2.87753 -1.52539 -1.78340
C 4.16362 -1.84035 -2.16482
C 5.13510 -0.87796 -2.29944
C 4.83273 0.44875 -2.06008
C 3.55312 0.75725 -1.65645
C 2.58241 -0.20459 -1.52696
H -2.59121 -2.64784 0.21806
H -1.31183 -1.66832 0.88693
H -3.23777 -0.75446 -0.86407
H -1.97187 -1.33311 -2.03753
H -1.60687 0.66618 0.28743
H -0.28791 -0.05253 -0.60447
H -2.77856 4.28377 -0.97649
H 1.27487 3.11827 -2.07464
H 1.68650 -4.84865 -2.97413
H 0.47959 -5.25172 -5.15822
H -0.64011 -3.34076 -6.23391
H -0.56761 -1.05172 -5.21777
H 0.58267 -0.71150 -3.13923
H 4.40713 -2.87918 -2.37677
H 6.12695 -1.18420 -2.62044
H 5.59234 1.21093 -2.19355
H 3.30235 1.79162 -1.44723
H 1.58709 0.09489 -1.21953
C 3.87839 -3.67743 6.20386
C 2.98835 -3.87399 4.98364
C 3.42057 -3.02512 3.78259
C 3.36363 -1.59407 4.11794
N 3.31395 -0.47291 4.38509
H 3.83990 -2.64897 6.56651
H 3.55118 -4.31926 7.01674
H 4.91938 -3.92178 5.97479
H 1.95889 -3.63261 5.25345
H 3.00516 -4.92722 4.69436
H 2.76184 -3.21019 2.93352
H 4.43898 -3.27710 3.48217
C 2.48736 -6.68936 10.83300
C 1.73837 -7.64899 9.91494
C 2.03993 -7.41186 8.43137
C 1.64220 -6.05235 8.03586
N 1.32698 -4.98625 7.72871
H 2.19576 -5.65352 10.65302
H 2.26675 -6.91230 11.87708
H 3.56684 -6.77160 10.69006
H 0.66563 -7.54851 10.09186
H 2.01062 -8.67481 10.17048
H 1.49485 -8.12775 7.81560
H 3.10561 -7.53802 8.23275
C -6.28705 6.04194 -2.79462
C -5.10724 6.58335 -3.59163
C -4.41232 7.75812 -2.89626
C -5.34749 8.87935 -2.71435
N -6.08344 9.75675 -2.57668
H -7.06972 6.79329 -2.67309
H -6.73333 5.18868 -3.30747
H -5.96770 5.71488 -1.80536
H -5.45331 6.89270 -4.58070
H -4.38009 5.78279 -3.74292
H -3.56660 8.10348 -3.49213
H -4.03585 7.45146 -1.91883
C 4.68061 5.58009 1.16132
C 5.17799 4.14523 1.29852
C 6.04030 3.69749 0.11360
C 5.26846 3.75844 -1.13654
N 4.65130 3.80338 -2.11007
H 4.03587 5.69883 0.28888
H 4.09778 5.86515 2.03756
H 5.51543 6.27812 1.06819
H 4.32012 3.47754 1.40059
H 5.76411 4.05539 2.21475
H 6.38245 2.67238 0.26277
H 6.91926 4.33667 0.01543
C -2.11290 7.70917 1.92914
C -2.59140 6.55674 2.80546
C -2.60843 5.21369 2.06744
C -3.51501 5.27169 0.91532
N -4.21799 5.30657 0.00192
H -2.77835 7.86887 1.07916
H -2.08859 8.63693 2.50101
H -1.10745 7.52032 1.54703
H -3.59232 6.78334 3.17821
H -1.93695 6.47244 3.67501
H -2.94292 4.41843 2.73433
H -1.60684 4.95825 1.71301
********

Here's the deal...

About six weeks ago I came across an email with the
as the title:

"Find Out How Our Completely Automated System Brought in
2,937 People in One Month Without Talking To a Single

I what know you're probably thinking... "HYPE!" I mean,
I thought it sounded 'too good to be true'.

But, I wanted to see what all the hype was about, so I
decided to investigate it even further to see if it could
up to what it said it could.

Here's the link that I was sent to:

The business, after investigation, actually looked extremely
solid. So, I decided to give it a shot to just kind of see
what would happen with it.

The product is about getting your "PhD" in something that no
school teaches you... How to become successful! You learn
from the likes of Jay Abraham, Les Brown, Jim Rohn, Brian
Tracy, Jeff Combs, Robert Allan, and many many more...

And better yet, the sales system was the best I've seen.
Plus, I could test drive it for only $2 (which was then
donated to the "Feed The Children" foundation). So in the
very least, I felt better about myself knowing that I would
be helping one child eat for a whole week with my $2

I mean, what could I lose?

So, I did some ezine advertising as well as a little par per
click advertising and right now after only 60 days weeks my
business has grown to over 387. So what do you think
- hype or not? (and I can prove it too!)

The best part? I want YOU to see those kind of results too.
I'm going to make SURE that you succeed with this!

I mean, all I did was direct traffic to my lead capture

So here is my advice for you:

Follow the links to investigate everything for yourself. If
it makes since to you, get in on this thing NOW! (After all,
it is FREE!)

I look forward to seeing and mentoring you to achieve
greatness online!

Take care,
Daegan Smith
Personal Development Director


Step 4:

Waite for the ezine publishers to respond. ONLY advertise
with those ezine publishers that respond to your email.

Step 5:

If you do not have an Adminder account get one here now.
Create tracking links for all of your ads and record all
ezine publishers info within Adminder.

Then go to and create short redirect link for
your tracking link to use in your ads.

Step 6:

Place the following solo ad EXACTLY as stated with at least
6 ezine: (Just change the links and your name)

Subject: Create passive income online - hype or not?


I'm sure you get hit up all the time about the latest and
greatest new opportunities of all time, right? There are so
many scams online today that it's a good thing to be

But I have a little story I want to tell you about.

Here's the deal...

About six weeks ago I came across an email with the
as the title:

"Find Out How Our Completely Automated System Brought in
2,937 People in One Month Without Talking To a Single

I what know you're probably thinking... "HYPE!" I mean,
I thought it sounded 'too good to be true'.

But, I wanted to see what all the hype was about, so I
decided to investigate it even further to see if it could
up to what it said it could.

Here's the link that I was sent to:

The business, after investigation, actually looked extremely
solid. So, I decided to give it a shot to just kind of see
what would happen with it.

The product is about getting your "PhD" in something that no
school teaches you... How to become successful! You learn
from the likes of Jay Abraham, Les Brown, Jim Rohn, Brian
Tracy, Jeff Combs, Robert Allan, and many many more...

And better yet, the sales system was the best I've seen.
Plus, I could test drive it for only $2 (which was then
donated to the "Feed The Children" foundation). So in the
very least, I felt better about myself knowing that I would
be helping one child eat for a whole week with my $2

I mean, what could I lose?

So, I did some ezine advertising as well as a little par per
click advertising and right now after only 60 days weeks my
business has grown to over 387. So what do you think
- hype or not? (and I can prove it too!)

The best part? I want YOU to see those kind of results too.
I'm going to make SURE that you succeed with this!

I mean, all I did was direct traffic to my lead capture

So here is my advice for you:

Follow the links to investigate everything for yourself. If
it makes since to you, get in on this thing NOW! (After all,
it is FREE!)

I look forward to seeing and mentoring you to achieve
greatness online!

Take care,
Daegan Smith
Personal Development Director


Step 7:

Waite for your ad to run. When your ad does run follow up
with the leads your ad produces and wait for your sign ups

If you follow the process above you will absolutely recruit
at least 5 new reps into your business as soon as your ads
run. You will probably recruit more on the order of 12 -20
new reps, but I must be conservative to insure that you get
the results that you are expecting.

(If someone had given me this information when I first
started marketing it would have cut months and thousands of
dollars worth of "testing" so use this knowledge well)

To our success,


Tuesday, September 06, 2005

Personal Growth Solo Ad Copy (Rough Draft)

Title: Is Personal Development Real or Just Hype?

You see so many people that swear that personal development
training is the key to happiness and success, but is it

Well, I decided to give it a try. I received an email for a
guy I had never heard of named Matt Morris. In this email he
said that concentrating on his own personal development had
lead to him generating $3,244,842.32 on the Internet in Only
27 months. Here is the website that email sent me to.

To say the least, I was intrigued. He said in the email that
he got his hands on every piece of personal development
training that he could find and that doing this lead
directly to his exceptional success.

Could it really be that easy?

I wanted to know. I thought if that's all you have to do to
get rich then heck . . . Why not give it try?

Besides, Matt had just put together a resource that would
make this exceptionally easy to do.

You see . . . He had just launched a website that had
quickly jumped to the number 1 visited Personal Development
site on the entire internet. In less than a few short
months, Matt's site was even beating for
traffic, so I knew it had to be big.

Here's the link to Matt's site:

Matt's site is aimed at one thing - helping you get "PhD" in
something that no school teaches you... How to become
successful by simply immersing yourself in the best personal
development training available anywhere! You learn from the
likes of Jay Abraham, Les Brown, Jim Rohn, Brian Tracy, Jeff
Combs, Robert Allan, and many many more...

I figured I'd give it a try. I could test drive it for only
$2 (which was then donated to the "Feed The Children"
foundation). So in the very least, I felt better about
myself knowing that I would be helping one child eat for a
whole week with my $2 donation.

I mean, what could I lose? Check it out for yourself . . .

60 days after putting in about 10 hours a week into my
personal development I've never felt better.

My life has attained a crystal clear focus, my energy has
increased, my confidence has risen 100%, and most importantly
I've been able to help over 370 people do the same and I've
created a hands free residual income stream at the same time.

You see by simple referring others to Matt's "Earn while you
Learn" system I've been able to create a new stream of hand
free income that is several hundred dollars a month at this
point and is only going to continue to grow over time.

Personal development works! I advice you to give it a try
and see for yourself. You have absolutely nothing to loose
and everything to gain.

Don't sell yourself short. You deserve more out of life and
you know it.

What are you waiting for?

Take care,

Daegan Smith
Personal Devolpement Believer
Personal Email:

A Great Vacation!

A Great Vacation!

I hope you all enjoyed the three day weekend.

I few updates . . .

The team is growing and growing and growing . . . We are up
to 379 members in a little over two months. Wow!

_Data records from another source follow_
The following is a quantum chemistry calculation of 8 unconnected molecules or ions with the total composition C57H126F3N7O3S at a distorted geometry, from the Open Molecules 2025 dataset.

```
197
Properties=species:S:1:pos:R:3:lowdin_charge:R:1
C -14.874 -10.432 -18.217 -0.07
C -15.476 -11.270 -17.097 -0.24
C -16.242 -10.382 -16.121 -0.11
N -17.553 -10.987 -15.644 -0.26
C -18.612 -11.067 -16.715 0.06
C -17.311 -12.367 -15.077 -0.10
C -18.399 -12.601 -14.007 -0.14
C -18.971 -11.214 -13.705 -0.16
C -18.068 -10.245 -14.407 -0.09
H -14.263 -10.985 -18.925 0.09
H -14.217 -9.633 -17.867 0.09
H -15.754 -9.942 -18.642 0.09
H -14.692 -11.791 -16.534 0.11
H -16.068 -12.112 -17.458 0.10
H -16.543 -9.458 -16.617 0.14
H -15.707 -10.152 -15.202 0.13
H -18.945 -10.095 -17.070 0.13
H -19.407 -11.730 -16.389 0.12
H -18.121 -11.519 -17.578 0.11
H -17.424 -13.131 -15.841 0.13
H -16.332 -12.352 -14.603 0.13
H -19.223 -13.240 -14.332 0.12
H -18.109 -13.075 -13.069 0.08
H -20.018 -11.091 -13.985 0.13
H -18.993 -11.150 -12.616 0.10
H -18.582 -9.329 -14.696 0.15
H -17.237 -9.929 -13.775 0.13
C -16.796 -12.781 -4.794 -0.06
C -16.385 -14.267 -4.881 -0.21
C -16.256 -14.883 -3.479 -0.11
N -15.906 -16.370 -3.398 -0.26
C -16.816 -17.150 -4.318 0.03
C -15.964 -16.808 -1.921 -0.04
C -14.701 -17.668 -1.639 -0.10
C -14.078 -17.860 -3.018 -0.16
C -14.468 -16.626 -3.775 -0.12
H -16.428 -12.248 -5.669 0.06
H -16.333 -12.334 -3.911 0.09
H -17.867 -12.618 -4.691 0.05
H -15.378 -14.351 -5.298 0.10
H -17.098 -14.736 -5.550 0.07
H -17.254 -14.873 -3.027 0.14
H -15.605 -14.381 -2.768 0.14
H -16.614 -16.725 -5.296 0.09
H -17.838 -16.909 -4.035 0.10
H -16.608 -18.216 -4.341 0.12
H -16.902 -17.360 -1.881 0.13
H -16.040 -15.921 -1.301 0.13
H -14.801 -18.624 -1.132 0.13
H -14.028 -17.106 -0.990 0.13
H -14.442 -18.790 -3.467 0.12
H -13.008 -18.072 -3.019 0.14
H -14.271 -16.704 -4.843 0.13
H -13.905 -15.781 -3.371 0.15
C -14.389 -18.667 -17.104 -0.08
C -15.240 -18.229 -15.925 -0.22
C -14.387 -17.594 -14.803 -0.11
N -15.138 -17.137 -13.561 -0.25
C -16.055 -18.168 -13.024 0.03
C -15.941 -15.847 -13.829 -0.08
C -16.100 -15.162 -12.484 -0.16
C -14.972 -15.667 -11.597 -0.16
C -14.183 -16.642 -12.469 -0.07
H -13.544 -19.324 -16.879 0.09
H -13.869 -17.832 -17.579 0.09
H -14.991 -19.237 -17.808 0.09
H -15.626 -19.161 -15.507 0.11
H -16.028 -17.525 -16.194 0.11
H -13.661 -16.849 -15.122 0.14
H -13.806 -18.415 -14.373 0.14
H -16.808 -18.339 -13.790 0.11
H -16.589 -17.784 -12.153 0.11
H -15.559 -19.083 -12.710 0.13
H -16.876 -16.162 -14.289 0.13
H -15.409 -15.200 -14.524 0.14
H -17.067 -15.375 -12.032 0.12
H -15.975 -14.083 -12.574 0.11
H -15.394 -16.030 -10.658 0.11
H -14.321 -14.869 -11.238 0.08
H -13.838 -17.466 -11.848 0.14
H -13.379 -16.079 -12.936 0.14
C -24.586 -21.190 -9.837 -0.06
C -23.393 -21.163 -8.854 -0.24
C -23.116 -19.795 -8.339 -0.12
N -21.806 -19.663 -7.520 -0.25
C -21.872 -20.434 -6.210 0.06
C -20.668 -20.172 -8.397 -0.11
C -19.498 -19.256 -8.094 -0.16
C -20.175 -17.883 -8.151 -0.15
_End of the data records_

To all the new members, I just want to welcome you to the

Success here at Success University is simple. Just get as
much targeted traffic as you can to your lead capture page
and the Success University marketing system will take care
of everything else.

Your lead capture URL looks like:


So your next question is probably how do I get targeted

Well, we've taken care of that as well. Every traffic
generation method that you will every need is explained in
explicit detail in your exclusive team "Internet MLM
Success" eBook

Here is the password protected page with the link to the

(Get it from your upline sponsor)

password: yoursuccess

I know some of you out there don't know the first thing
about marketing your business online, so that's why we also
offer you the option of an exclusive team co-op where me and
my other team leaders research and do all the advertising on
your behalf.

Last month was our first run and we got some very promising
results. As a whole our team grew from 198 reps to our
current size of 379.

Here is an email that one team member sent me about their
involvement with the co-op last month:


"Daegan, Just wanted to update you on my successes. I
joined the ad CoOp at the very last minute last month but
the results have been impressive. I have had 5 sign-ups the
very first week the ads started. Can't wait till next month
to do it again. If everyone just does that much our team
will start to grow dramatically in a very short period of

All the Best,

Mike Costello


I want to provide this sort of a boost for everyone on the
team that I possibly can, so I've been hard a work
researching and preparing for our next team co-op run.

So here is a short preview of what we have on our plate for
next month's co-op . . .

There are 87 high quality personal growth online newsletters
that we have not exposed Success University to as of yet. As
far as I know I don't think these newsletters have EVER been
exposed to Success University. So they are prime for our

To prepare for the run, I have been hard at this work
constructing a personal development focused solo ad to use
with these publications. (I will post it on the team blog
for you all to see and use as well)

But that's not all!

This month I want to add a long term traffic generation
aspect to the co-op, If you've had a chance to look at the
team eBook you will see that article marketing and
distribution is the best way to do this.

So, I will begin to research, write, and have written at
least 15 personal development, internet, and network
marketing articles for the co-op that will be widely
distributed across the internet.

This will produce a larger scope of exposure to our business
and it will generate long term traffic to our lead capture

Let's take this to the next level!

Daegan Smith
Success University Director
Silver Spring, MD
My SU link:
Yahoo IM:

P.S. September 8th is my birthday, so I'm trying to figure
out what I can give you guys as sort of a present. I'll keep
you posted.

P.S.S. Get to as many of the training and opportunity calls
that you can. You may not understand why, but they are
another VERY important key to you r ultimate success here. I
spoke to Ned Rae, my upline and the head Executive Trainer
for SU and he said he needs us there. So bring your energy
and I'll see you all on the next SU call!

Monday, September 05, 2005

SU site down for a little

I just got finished talking with Ned Rae about
the SU website being down today.

Here's the scoop . . .

Jason and I noticed a few 505 errors in the past.
These were caused when the system was backing up
at 1:15am every night throwing up the 505 error
and shutting of the main server.

They have taken the system down to correct this
problem for good.

We just to have a little patience and faith and
things will be back to normal soon.

Email me if you guys need anything!


Sunday, September 04, 2005

Next month's co-op . . .

I just got finished writting Piet Aldem an
email about next month's co-op so I thought
I would share the contents of what I shared
with him with the entire team.

Keeping everyone in the loop:



To give you an idea of what we will be doing in
next month's co-op.

There are 87 personal development ezines that we
have not placed ads with as of yet. I will research
these ezines and develop an ad personally targeted
to this niche. I will then place the ads.

I will also add a long term component to the co-op
this month by hiring out a few ghost writers to
generate personal development, internet, and
network marketing articles that I will distribute
to online article directories and ezine publisher for
their use.

I will embed our team co-op link in all of
these articles. As they are distributed across the
internet the co-op will receive free traffic for
months to come.

This is important because there is only a fininte
number of ezines, and once they have heard our message
a certain number of times our ads will not be
as responsive as they currently are.


We're always looking ahead!